(Work order)
Repeat every line underneath that contains the word "No".
(Given)
'''
No. 1
Computed, not measured: an optimized crystal structure of Na7NbGa3Si3P3O24 at the PBE level of DFT.

Unit cell a=8.940 b=8.912 c=21.984 alpha=90.03 beta=90.11 gamma=120.08
Atoms (fractional coordinates):
Na (0.630, 0.998, 0.252)
Na (0.368, 0.371, 0.252)
Na (0.002, 0.633, 0.253)
Na (0.639, 0.629, 0.745)
Na (0.994, 0.358, 0.744)
Na (0.297, 0.339, 0.584)
Na (0.036, 0.701, 0.583)
Na (0.666, 0.962, 0.581)
Na (0.300, 0.965, 0.084)
Na (0.663, 0.700, 0.085)
Na (0.040, 0.333, 0.082)
Na (0.324, 0.296, 0.914)
Na (0.974, 0.298, 0.416)
Na (0.327, 0.028, 0.416)
Na (0.700, 0.674, 0.416)
Na (0.998, 0.000, 0.500)
Na (0.992, 0.996, 0.997)
Na (0.664, 0.324, 0.828)
Na (0.666, 0.332, 0.332)
Na (0.336, 0.667, 0.167)
Na (0.334, 0.672, 0.660)
Nb (0.670, 0.328, 0.979)
Nb (0.672, 0.338, 0.480)
Nb (0.327, 0.664, 0.811)
Ga (0.999, 0.999, 0.354)
Ga (0.001, 0.006, 0.851)
Ga (0.998, 0.005, 0.648)
Ga (0.002, 0.006, 0.148)
Ga (0.658, 0.331, 0.683)
Ga (0.661, 0.330, 0.182)
Ga (0.339, 0.664, 0.018)
Ga (0.333, 0.661, 0.516)
Ga (0.333, 0.666, 0.321)
Si (0.293, 0.278, 0.750)
Si (0.962, 0.335, 0.588)
Si (0.667, 0.631, 0.587)
Si (0.665, 0.035, 0.087)
Si (0.372, 0.334, 0.085)
Si (0.041, 0.370, 0.919)
Si (0.622, 0.952, 0.416)
Si (0.329, 0.375, 0.415)
Si (0.050, 0.672, 0.416)
P (0.289, 0.999, 0.249)
P (0.711, 0.709, 0.249)
P (0.000, 0.293, 0.249)
P (0.999, 0.718, 0.750)
P (0.713, 0.004, 0.750)
P (0.376, 0.041, 0.585)
P (0.958, 0.624, 0.086)
P (0.632, 0.676, 0.917)
P (0.326, 0.951, 0.919)
O (0.207, 0.032, 0.306)
O (0.825, 0.791, 0.306)
O (0.965, 0.177, 0.306)
O (0.208, 0.176, 0.812)
O (0.967, 0.800, 0.806)
O (0.828, 0.035, 0.806)
O (0.781, 0.957, 0.692)
O (0.166, 0.208, 0.691)
O (0.032, 0.823, 0.691)
O (0.794, 0.824, 0.191)
O (0.033, 0.212, 0.192)
O (0.175, 0.967, 0.192)
O (0.870, 0.369, 0.646)
O (0.496, 0.125, 0.640)
O (0.626, 0.504, 0.645)
O (0.879, 0.508, 0.142)
O (0.626, 0.122, 0.145)
O (0.500, 0.378, 0.144)
O (0.468, 0.301, 0.025)
O (0.835, 0.533, 0.030)
O (0.703, 0.171, 0.028)
O (0.460, 0.157, 0.527)
O (0.698, 0.535, 0.526)
O (0.834, 0.301, 0.527)
O (0.550, 0.701, 0.975)
O (0.164, 0.461, 0.977)
O (0.307, 0.847, 0.977)
O (0.541, 0.835, 0.476)
O (0.290, 0.453, 0.476)
O (0.167, 0.709, 0.476)
O (0.120, 0.621, 0.355)
O (0.501, 0.880, 0.354)
O (0.380, 0.498, 0.355)
O (0.137, 0.497, 0.859)
O (0.359, 0.865, 0.863)
O (0.508, 0.640, 0.861)
O (0.020, 0.837, 0.409)
O (0.816, 0.979, 0.409)
O (0.161, 0.181, 0.408)
O (0.025, 0.183, 0.911)
O (0.171, 0.977, 0.913)
O (0.811, 0.831, 0.909)
O (0.974, 0.158, 0.588)
O (0.197, 0.028, 0.589)
O (0.847, 0.818, 0.589)
O (0.971, 0.803, 0.089)
O (0.839, 0.020, 0.089)
O (0.185, 0.155, 0.089)
O (0.696, 0.166, 0.744)
O (0.492, 0.319, 0.746)
O (0.844, 0.530, 0.747)
O (0.695, 0.526, 0.245)
O (0.835, 0.312, 0.244)
O (0.473, 0.166, 0.246)
O (0.634, 0.501, 0.922)
O (0.852, 0.361, 0.922)
O (0.493, 0.138, 0.922)
O (0.642, 0.147, 0.422)
O (0.503, 0.354, 0.422)
O (0.853, 0.495, 0.422)
O (0.353, 0.506, 0.079)
O (0.138, 0.644, 0.078)
O (0.490, 0.849, 0.076)
O (0.358, 0.861, 0.579)
O (0.496, 0.650, 0.579)
O (0.149, 0.510, 0.580)
O (0.308, 0.835, 0.253)
O (0.528, 0.691, 0.252)
O (0.165, 0.476, 0.254)
O (0.314, 0.482, 0.757)
O (0.165, 0.695, 0.757)
O (0.529, 0.837, 0.758)

Computed properties:
M_tot   0.000 Bohr magnetons per cell

=====

No. 2
Computed, not measured: an optimized crystal structure of Na8NbGa3Si4P2O24 at the PBE level of DFT.

Unit cell a=8.967 b=8.976 c=21.951 alpha=89.69 beta=89.90 gamma=119.93
Atoms (fractional coordinates):
Na (0.629, 0.997, 0.254)
Na (0.370, 0.372, 0.252)
Na (0.003, 0.630, 0.252)
Na (0.638, 0.631, 0.742)
Na (0.992, 0.360, 0.744)
Na (0.371, 0.010, 0.747)
Na (0.296, 0.337, 0.584)
Na (0.039, 0.703, 0.582)
Na (0.667, 0.959, 0.582)
Na (0.293, 0.959, 0.082)
Na (0.663, 0.703, 0.084)
Na (0.042, 0.339, 0.085)
Na (0.972, 0.678, 0.914)
Na (0.707, 0.031, 0.912)
Na (0.321, 0.290, 0.912)
Na (0.974, 0.297, 0.415)
Na (0.326, 0.028, 0.415)
Na (0.701, 0.675, 0.415)
Na (0.998, 0.000, 0.500)
Na (0.002, 0.000, 0.999)
'''
(Completed)
No. 1
No. 2